A Former Houseguest Returns To 'Big Brother'

Get out your glitter, ladies and gents. Big Brother 16 contestant-turned-D-List-celebrity Frankie Grande appeared on Sunday night's episode of BB17 to treat Liz, who won the luxury reward during this week's Head of Household competition, and her guest Vanessa to a trip outside of the Big Brother house. And just to once again remind you that he's Ariana Grande's brother, Frankie took the houseguests to his sister's sold-out concert at the Staples Center in Los Angeles.
It's only been about a year since we last saw Frankie in the Big Brother house, but really, no matter how hard we try, how could we ever forget this pink-haired, glitter-throwing, Zach-loving houseguest? Though Frankie ended up in fifth place, he basically defined the BB16 season as one of the most over-the-top and competitive houseguests in Big Brother history, dancing and singing around the house, winning an epic Battle of the Block competition all by himself, and winning the title of HoH an impressive three times. Oh, and did I mention pop superstar du jour Ariana Grande is his half-sister?
Here the entry breaks off for crystal structures:
This entry pairs a crystal structure of Mg2VIn3S8 with its computed X-ray diffraction stick pattern. Radiation: a wavelength of 1.5418 Å. Structure: a crystal structure in the Materials Project, relaxed with PBE.
Kinematic intensities with the Lorentz-polarization factor, no thermal factor.

Cell: 7.554 7.574 7.606 Å, 60.37 60.46 60.51°
Space group P-1 (No. 2)
One atom of each set of equivalent atoms:
Mg  0.124  0.124  0.124 [2 per cell]
V  0.500  0.500  0.500 [1 per cell]
In  0.000  0.500  0.500 [1 per cell]
In  0.500  0.000  0.500 [1 per cell]
In  0.500  0.500  0.000 [1 per cell]
S  0.257  0.256  0.258 [2 per cell]
S  0.269  0.270  0.725 [2 per cell]
S  0.269  0.724  0.269 [2 per cell]
S  0.276  0.731  0.731 [2 per cell]

Main lines, low angle first (2θ = 10–90°):
- 14.23°, 6.222 Å, I = 84, (1 0 0)
- 14.36°, 6.166 Å, I = 65, (1 1 1)
- 27.43°, 3.252 Å, I = 100, (1 1 -1)
- 27.57°, 3.235 Å, I = 42, (1 2 2)
- 33.28°, 2.692 Å, I = 98, (2 0 2)
- 33.43°, 2.681 Å, I = 48, (2 2 0)
- 43.69°, 2.072 Å, I = 25, (1 3 3)
- 47.68°, 1.907 Å, I = 66, (2 0 -2)
- 47.84°, 1.901 Å, I = 22, (2 2 4)
- 48.05°, 1.893 Å, I = 22, (2 4 2)


1.
Diffraction record for DyCdPb6. The powder X-ray diffraction pattern is calculated, not measured: it uses a DFT-relaxed cell (PBE, Alexandria) and CuKα.
Intensities are scaled so that the largest is 100.

Atomic structure:
```
data_DyCdPb6
_chemical_formula_sum 'Dy2 Cd2 Pb12'
_symmetry_space_group_name_H-M 'C m m m'
_symmetry_Int_Tables_number 65
_symmetry_space_group_name_Hall '-C 2 2'
_cell_length_a 9.592
_cell_length_b 9.639
_cell_length_c 5.096
_cell_angle_alpha 90.00
_cell_angle_beta 90.00
_cell_angle_gamma 90.00
loop_
_atom_site_label
_atom_site_type_symbol
_atom_site_fract_x
_atom_site_fract_y
_atom_site_fract_z
Dy1 Dy 0.000 0.000 0.000
Cd1 Cd 0.000 0.500 0.000
Pb1 Pb 0.000 0.252 0.500
Pb2 Pb 0.246 0.500 0.500
Pb3 Pb 0.250 0.250 0.000
```

Largest 8 diffraction maxima, sorted by position, 10 to 90 degrees two-theta:
2theta, I_rel
31.64, 100
35.22, 19
37.32, 16
37.51, 16
52.25, 13
60.97, 16
63.77, 14
64.03, 14

2.
Diffraction record for Dy2CdPb2. The powder X-ray diffraction pattern is calculated, not measured: it uses a DFT-relaxed cell (PBE, Alexandria) and CuKα.
Intensities are scaled so that the largest is 100.

Atomic structure:
```
data_Dy2CdPb2
_chemical_formula_sum 'Dy4 Cd2 Pb4'
_symmetry_space_group_name_H-M 'P 63/m m c'
_symmetry_Int_Tables_number 194
_symmetry_space_group_name_Hall '-P 6c 2c'
_cell_length_a 5.0562
_cell_length_b 5.0562
_cell_length_c 12.7214
_cell_angle_alpha 90.00
_cell_angle_beta 90.00
_cell_angle_gamma 120.00
loop_
_atom_site_label
_atom_site_type_symbol
_atom_site_fract_x
_atom_site_fract_y
_atom_site_fract_z
Dy1 Dy 0.3333 0.6667 0.1019
Cd1 Cd 0.0000 0.0000 0.2500
Pb1 Pb 0.0000 0.0000 0.0000
Pb2 Pb 0.3333 0.6667 0.7500
```

Largest 8 diffraction maxima, sorted by position, 10 to 90 degrees two-theta:
2theta, I_rel
24.68, 14
29.32, 88
34.87, 36
35.51, 100
46.69, 25
60.00, 24
63.76, 18
69.89, 21
Of course, Frankie re-entered the Big Brother house in typical Frankie fashion during Sunday night's episode. Frankie came in "glittery as hell," as John put it, throwing even more glitter in the air because I'm pretty sure that stuff is like oxygen to him. As one might expect, there was lots of voguing and pirouettes involved as well. All of the remaining BB17 houseguests were fangirling over Frankie's arrival in the house, especially Big Brother superfan Steve, who was practically speechless, but not nearly as much as BB16's Victoria when she found out Frankie is Ariana Grande's half-brother.
-- The text is interrupted by records of crystals --
~~~
# Nd4Y6Th
Computed X-ray powder pattern, Cu Kα (λ = 1.5418 Å). Input: a cell relaxed with GGA-PBE.
Neutral-atom scattering factors, no anomalous dispersion.

Structural model:
```
22
Lattice="2.907 -4.877 0.000 2.907 4.877 0.000 0.000 0.000 26.090" Properties=species:S:1:pos:R:3 pbc="T T T"
Nd 2.907 4.580 16.255
Nd 2.907 4.580 22.881
Nd 2.907 1.532 14.183
Nd 2.907 1.532 24.952
Nd 2.907 -1.532 1.138
Nd 2.907 -1.532 11.907
Nd 2.907 -4.580 3.210
Nd 2.907 -4.580 9.836
Y 0.000 0.000 0.000
Y 0.000 0.000 13.045
Y 2.907 4.623 19.568
Y 2.907 1.839 2.680
Y 2.907 1.839 10.365
Y 2.907 1.368 17.841
Y 2.907 1.368 21.295
Y 2.907 -1.368 4.795
Y 2.907 -1.368 8.250
Y 2.907 -1.839 15.725
Y 2.907 -1.839 23.410
Y 2.907 -4.623 6.523
Th 2.907 1.858 6.523
Th 2.907 -1.858 19.568
```

Largest 12 diffraction maxima, by angle, 2θ = 10–80°:
2theta	d [Å]	I (rel.)
20.48	4.336	22.0
29.91	2.987	70.4
30.18	2.961	49.2
30.76	2.907	64.4
31.53	2.838	100.0
31.72	2.821	19.6
32.80	2.731	37.3
43.63	2.075	35.7
54.16	1.693	13.2
55.17	1.665	20.2
55.46	1.657	17.4
56.77	1.622	17.0

=====

# Cs4Rb2GaAs2
Computed X-ray powder pattern, Cu Kα (λ = 1.5418 Å). Input: a cell relaxed with GGA-PBE.
Neutral-atom scattering factors, no anomalous dispersion.

Structural model:
```
9
Lattice="8.707 -7.339 0.000 8.707 7.339 0.000 -0.731 0.000 5.437" Properties=species:S:1:pos:R:3 pbc="T T T"
Cs 6.063 4.937 2.902
Cs 10.619 4.937 2.535
Cs 6.063 -4.937 2.902
Cs 10.619 -4.937 2.535
Rb 5.857 0.000 0.352
Rb 10.825 0.000 5.086
Ga 0.000 0.000 0.000
As 1.555 0.000 5.248
As 15.127 0.000 0.189
```

Largest 12 diffraction maxima, by angle, 2θ = 10–80°:
2theta	d [Å]	I (rel.)
18.82	4.714	30.3
20.33	4.369	100.0
20.59	4.314	62.2
21.80	4.077	30.9
23.87	3.728	50.7
24.56	3.624	37.0
25.47	3.497	35.2
29.36	3.042	46.6
30.64	2.918	20.8
32.95	2.719	24.8
36.72	2.448	30.2
37.45	2.402	24.3

=====

# Tm3ScPb2S
Computed X-ray powder pattern, Cu Kα (λ = 1.5418 Å). Input: a cell relaxed with GGA-PBE.
Neutral-atom scattering factors, no anomalous dispersion.

Structural model:
```
7
Lattice="-2.393 2.483 7.962 2.393 -2.483 7.962 2.393 2.483 -7.962" Properties=species:S:1:pos:R:3 pbc="T T T"
Tm 0.000 0.000 0.000
Tm 2.393 0.000 5.313
Tm 0.000 2.483 2.649
Sc 0.000 0.000 7.962
Pb 2.393 0.000 2.209
Pb 0.000 2.483 5.753
S 0.000 2.483 0.000
```

Largest 12 diffraction maxima, by angle, 2θ = 10–80°:
2theta	d [Å]	I (rel.)
25.85	3.446	61.2
28.22	3.163	53.6
33.79	2.653	50.7
34.42	2.605	100.0
36.17	2.483	39.8
37.59	2.393	35.8
42.99	2.104	18.0
50.33	1.813	33.2
51.42	1.777	18.2
53.16	1.723	26.6
63.93	1.456	17.1
64.47	1.445	32.0

=====

# CsPaI6
Computed X-ray powder pattern, Cu Kα (λ = 1.5418 Å). Input: a cell relaxed with GGA-PBE.
Neutral-atom scattering factors, no anomalous dispersion.

Structural model:
```
8
Lattice="4.882 -6.046 0.000 4.882 6.046 0.000 -2.355 0.000 7.320" Properties=species:S:1:pos:R:3 pbc="T T T"
Cs 0.000 0.000 0.000
Pa 3.705 0.000 3.660
I 0.800 0.000 4.196
I 3.309 2.082 1.604
I 4.101 2.082 5.716
I 3.309 -2.082 1.604
~~~
When Liz won the luxury reward during this week's HoH competition, she vowed to bring whomever won the title with her on the trip outside of the Big Brother house. Since Vanessa won HoH this week and because the reward seemed like it had "girl trip written all over it," Liz chose her to accompany her on this "once-in-a-lifetime, VIP, exclusive Grande experience."
But not without getting all dolled up with a professional makeup and hair team to give them disguises. Since BB17 is still being filmed in nearly real-time and because the houseguests are worldwide celebs at this point, Liz and Vanessa had to be transformed into a "sexy soccer mom" with a short, red 'do and a "rocker chick" with long, purple locks, respectively. Frankie's hair was still blond with some pink on top to complete this rainbow of hairstyles.
While at the show, this trio did what any normal Ariana Grande concertgoer would do: stomp down the stage, get the singer's brand-new fragrance before it's even available in stores, and hug the pop star, who seemed a lot sweeter toward these two than how that doughnut she licked must have tasted.
Big Brother houseguests rarely get luxury rewards anymore, probably because the parts of the competition that actually matter are so enthralling to watch on their own, let alone little field trips like this outside of the house after three months in there. Sure, they're usually hokey and used to promote something or someone. But, as much as I tried, I couldn't deny Frankie's charm on BB16 and I still can't deny it now. Here's to probably seeing you on every future season of Big Brother, Frankie!
**What comes next are records of crystals, not part of the piece:**
<<<
For FeSi16Ge12P3, the PBE geometry in OQMD gives the simulated X-ray powder pattern in this record (Cu Kα).

Structure:
```
data_FeSi16Ge12P3
_chemical_formula_sum 'Fe1 Si16 Ge12 P3'
_symmetry_space_group_name_H-M 'P 1'
_symmetry_Int_Tables_number 1
_cell_length_a 6.7586
_cell_length_b 10.2822
_cell_length_c 10.3515
_cell_angle_alpha 81.80
_cell_angle_beta 71.29
_cell_angle_gamma 83.86
loop_
_symmetry_equiv_pos_as_xyz
'x,y,z'
loop_
_atom_site_label
_atom_site_fract_x
_atom_site_fract_y
_atom_site_fract_z
Fe1 0.0000 0.0000 0.0000
Si1 0.0205 0.5048 0.4961
Si2 0.0269 0.8817 0.3633
Si3 0.0318 0.3819 0.8766
Si4 0.1470 0.5862 0.8887
Si5 0.1473 0.9672 0.7807
Si6 0.1476 0.4587 0.2682
Si7 0.1475 0.8501 0.1269
Si8 0.5162 0.8221 0.0629
Si9 0.5184 0.9407 0.6814
Si10 0.5197 0.0584 0.3044
Si11 0.5297 0.3169 0.5612
Si12 0.5317 0.6939 0.4309
Si13 0.6444 0.7792 0.8285
Si14 0.6505 0.5223 0.5713
Si15 0.6524 0.6545 0.1994
Si16 0.6526 0.8955 0.4489
Ge1 0.0215 0.7641 0.7512
Ge2 0.0293 0.6345 0.1242
Ge3 0.0320 0.2518 0.2444
Ge4 0.1411 0.1901 0.0073
Ge5 0.1493 0.3319 0.6409
Ge6 0.1522 0.7107 0.5113
Ge7 0.5232 0.4493 0.1877
Ge8 0.5230 0.5728 0.8074
Ge9 0.5259 0.1854 0.9428
Ge10 0.6448 0.2640 0.3286
Ge11 0.6585 0.1398 0.7007
Ge12 0.6581 0.3961 0.9504
P1 0.0360 0.1205 0.6258
P2 0.1542 0.0765 0.3861
P3 0.6581 0.0122 0.0784
```

Main lines, sorted by position (2θ from 15° to 90°):
two_theta  intensity  hkl
27.90  100  0 1 3
28.09  98  1 -2 2
46.25  24  -2 1 3
46.44  24  1 -1 5
46.59  68  3 -2 2
46.73  23  0 5 -1
55.03  20  -3 3 1
55.17  13  2 2 6
55.29  27  2 5 -1
55.38  14  0 6 2

* * * * *

# 1
Structure and calculated powder diffractogram of Pr3Zn2Au6 (a GGA-PBE-relaxed structure; copper Kα).
Lines closer than 0.1° are merged.

The 10 most intense peaks (5° ≤ 2θ ≤ 70°), by intensity:
2θ = 35.63°, I = 100; 2θ = 40.27°, I = 80; 2θ = 31.68°, I = 71; 2θ = 40.59°, I = 43; 2θ = 14.20°, I = 35; 2θ = 55.10°, I = 30; 2θ = 58.27°, I = 27; 2θ = 35.99°, I = 25; 2θ = 29.09°, I = 24; 2θ = 38.17°, I = 20

Atomic structure:
abc: 12.873 12.873 12.873
angles: 159.96 159.96 28.48
Fractional positions:
Pr (0.000, 0.000, 0.000)
Pr (0.196, 0.196, 0.000)
Pr (0.804, 0.804, 0.000)
Zn (0.451, 0.451, 0.000)
Zn (0.549, 0.549, 0.000)
Au (0.102, 0.602, 0.500)
Au (0.319, 0.319, 0.000)
Au (0.398, 0.898, 0.500)
Au (0.602, 0.102, 0.500)
Au (0.681, 0.681, 0.000)
Au (0.898, 0.398, 0.500)


# 2
Structure and calculated powder diffractogram of ErPu6 (a GGA-PBE-relaxed structure; copper Kα).
Lines closer than 0.1° are merged.

The 10 most intense peaks (5° ≤ 2θ ≤ 70°), by intensity:
2θ = 32.81°, I = 100; 2θ = 51.11°, I = 59; 2θ = 47.08°, I = 48; 2θ = 18.77°, I = 43; 2θ = 26.66°, I = 42; 2θ = 54.93°, I = 37; 2θ = 62.08°, I = 17; 2θ = 65.48°, I = 14; 2θ = 42.77°, I = 11; 2θ = 38.07°, I = 8

Atomic structure:
abc: 6.686 6.686 6.686
angles: 90.00 90.00 90.00
Fractional positions:
Er (0.000, 0.000, 0.000)
Er (0.500, 0.500, 0.500)
Pu (0.000, 0.250, 0.500)
Pu (0.000, 0.500, 0.250)
Pu (0.000, 0.500, 0.750)
>>>
For more on this season of Big Brother, check out Bustle's podcast The Diary Room.
Images: CBS; Giphy (2)